## Brief
Repeat only the last part of the lines underneath, starting with the line that has "_cell_length_c 6.1230".
## Source
- - -
(1)
This entry pairs a crystal structure of ThCo4Ge with its calculated X-ray diffraction stick pattern. Radiation: Cu Ka. Structure: a cell relaxed with GGA-PBE.
Peak positions follow from Bragg's law for the DFT cell and can differ from measured ones.

Largest 6 diffraction maxima, in order of rising 2θ, 2θ from 10° to 80°:
23.97°, d = 3.712 Å, rel. 27, hkl 0 4 0; 32.98°, d = 2.716 Å, rel. 49, hkl 1 3 1; 38.12°, d = 2.361 Å, rel. 100, hkl 1 1 2; 38.30°, d = 2.350 Å, rel. 51, hkl 1 5 0; 47.15°, d = 1.928 Å, rel. 39, hkl 0 6 2; 47.51°, d = 1.914 Å, rel. 29, hkl 2 0 0

```
data_ThCo4Ge
_space_group_name_H-M_alt 'C m c m'
_space_group_IT_number 63
_space_group_name_Hall '-C 2c 2'
_cell_length_a 3.8278
_cell_length_b 14.8864
_cell_length_c 6.1230
_cell_angle_alpha 90.00
_cell_angle_beta 90.00
_cell_angle_gamma 90.00
loop_
_atom_site_label
_atom_site_fract_x
_atom_site_fract_y
_atom_site_fract_z
Th1 0.0000 0.1020 0.2500
Co1 0.0000 0.0780 0.7500
Co2 0.0000 0.3270 0.0559
Co3 0.0000 0.5000 0.0000
Ge1 0.0000 0.2321 0.7500
```


(2)
This entry pairs a crystal structure of Th3Co2Ge3 with its calculated X-ray diffraction stick pattern. Radiation: Cu Ka. Structure: a cell relaxed with GGA-PBE.
Peak positions follow from Bragg's law for the DFT cell and can differ from measured ones.

Largest 6 diffraction maxima, in order of rising 2θ, 2θ from 10° to 80°:
23.88°, d = 3.727 Å, rel. 61, hkl 0 2 3; 29.20°, d = 3.059 Å, rel. 46, hkl 1 1 3; 33.14°, d = 2.703 Å, rel. 100, hkl 1 1 4; 33.48°, d = 2.677 Å, rel. 60, hkl 1 3 1; 35.23°, d = 2.547 Å, rel. 48, hkl 0 0 6; 44.40°, d = 2.040 Å, rel. 63, hkl 2 0 0

```
data_Th3Co2Ge3
_space_group_name_H-M_alt 'C m c m'
_space_group_IT_number 63
_space_group_name_Hall '-C 2c 2'
_cell_length_a 4.0829
_cell_length_b 10.9311
_cell_length_c 15.2846
_cell_angle_alpha 90.00
_cell_angle_beta 90.00
_cell_angle_gamma 90.00
loop_
_atom_site_label
_atom_site_fract_x
_atom_site_fract_y
_atom_site_fract_z
Th1 0.0000 0.0836 0.2500
Th2 0.0000 0.3588 0.0934
Co1 0.0000 0.3517 0.6263
Ge1 0.0000 0.0865 0.0543
Ge2 0.0000 0.2008 0.7500
```

----------

Starting from DFT lattice parameters and positions (PBE), the powder diffractogram of Sr4SnBiO was calculated for Cu Kα (weighted mean of Kα1 and Kα2).
Intensities are scaled so that the largest is 100.

Atomic structure:
abc: 9.5506 9.5506 7.1385
angles: 90.00 90.00 136.10
Sites, in units of the cell vectors:
Sr 0.0000 0.5000 0.0000
Sr 0.0000 0.5000 0.5000
Sr 0.0775 0.9225 0.7500
Sr 0.4128 0.5872 0.7500
Sr 0.5000 0.0000 0.0000
Sr 0.5000 0.0000 0.5000
Sr 0.5872 0.4128 0.2500
Sr 0.9225 0.0775 0.2500
Sn 0.1142 0.8858 0.2500
Sn 0.8858 0.1142 0.7500
Bi 0.3897 0.6103 0.2500
Bi 0.6103 0.3897 0.7500
O 0.2589 0.7411 0.7500
O 0.7411 0.2589 0.2500

Top 10 peaks for 10° ≤ 2θ ≤ 80°, in order of rising 2θ:
Position (°2θ), I (rel.)
24.9, 37
26.9, 48
30.3, 26
30.8, 19
32.2, 100
35.6, 61
47.4, 30
51.2, 22
60.6, 14
61.8, 32
- - -
## Outcome
_cell_length_c 6.1230
_cell_angle_alpha 90.00
_cell_angle_beta 90.00
_cell_angle_gamma 90.00
loop_
_atom_site_label
_atom_site_fract_x
_atom_site_fract_y
_atom_site_fract_z
Th1 0.0000 0.1020 0.2500
Co1 0.0000 0.0780 0.7500
Co2 0.0000 0.3270 0.0559
Co3 0.0000 0.5000 0.0000
Ge1 0.0000 0.2321 0.7500
```


(2)
This entry pairs a crystal structure of Th3Co2Ge3 with its calculated X-ray diffraction stick pattern. Radiation: Cu Ka. Structure: a cell relaxed with GGA-PBE.
Peak positions follow from Bragg's law for the DFT cell and can differ from measured ones.

Largest 6 diffraction maxima, in order of rising 2θ, 2θ from 10° to 80°:
23.88°, d = 3.727 Å, rel. 61, hkl 0 2 3; 29.20°, d = 3.059 Å, rel. 46, hkl 1 1 3; 33.14°, d = 2.703 Å, rel. 100, hkl 1 1 4; 33.48°, d = 2.677 Å, rel. 60, hkl 1 3 1; 35.23°, d = 2.547 Å, rel. 48, hkl 0 0 6; 44.40°, d = 2.040 Å, rel. 63, hkl 2 0 0

```
data_Th3Co2Ge3
_space_group_name_H-M_alt 'C m c m'
_space_group_IT_number 63
_space_group_name_Hall '-C 2c 2'
_cell_length_a 4.0829
_cell_length_b 10.9311
_cell_length_c 15.2846
_cell_angle_alpha 90.00
_cell_angle_beta 90.00
_cell_angle_gamma 90.00
loop_
_atom_site_label
_atom_site_fract_x
_atom_site_fract_y
_atom_site_fract_z
Th1 0.0000 0.0836 0.2500
Th2 0.0000 0.3588 0.0934
Co1 0.0000 0.3517 0.6263
Ge1 0.0000 0.0865 0.0543
Ge2 0.0000 0.2008 0.7500
```

----------

Starting from DFT lattice parameters and positions (PBE), the powder diffractogram of Sr4SnBiO was calculated for Cu Kα (weighted mean of Kα1 and Kα2).
Intensities are scaled so that the largest is 100.

Atomic structure:
abc: 9.5506 9.5506 7.1385
angles: 90.00 90.00 136.10
Sites, in units of the cell vectors:
Sr 0.0000 0.5000 0.0000
Sr 0.0000 0.5000 0.5000
Sr 0.0775 0.9225 0.7500
Sr 0.4128 0.5872 0.7500
Sr 0.5000 0.0000 0.0000
Sr 0.5000 0.0000 0.5000
Sr 0.5872 0.4128 0.2500
Sr 0.9225 0.0775 0.2500
Sn 0.1142 0.8858 0.2500
Sn 0.8858 0.1142 0.7500
Bi 0.3897 0.6103 0.2500
Bi 0.6103 0.3897 0.7500
O 0.2589 0.7411 0.7500
O 0.7411 0.2589 0.2500

Top 10 peaks for 10° ≤ 2θ ≤ 80°, in order of rising 2θ:
Position (°2θ), I (rel.)
24.9, 37
26.9, 48
30.3, 26
30.8, 19
32.2, 100
35.6, 61
47.4, 30
51.2, 22
60.6, 14
61.8, 32